Contents.
~~~
Calculated powder diffractogram
Compound: Cu3Ni4BiO12
Radiation: λ = 1.5418 Å (Cu Kα)
Structure: a GGA+U-relaxed structure
Lines closer than 0.1° are merged.

```
data_Cu3Ni4BiO12
_space_group_name_H-M_alt 'I m -3'
_space_group_IT_number 204
_space_group_name_Hall '-I 2 2 3'
_cell_length_a 7.332
_cell_length_b 7.332
_cell_length_c 7.332
_cell_angle_alpha 90.00
_cell_angle_beta 90.00
_cell_angle_gamma 90.00
loop_
_atom_site_label
_atom_site_fract_x
_atom_site_fract_y
_atom_site_fract_z
Cu1 0.000 0.000 0.500
Ni1 0.250 0.250 0.250
Bi1 0.000 0.000 0.000
O1 0.000 0.171 0.311
```

Largest 8 diffraction maxima, in order of falling intensity, 2θ from 10° to 90°:
d_spacing  2θ (°)  Rel. int.  hkl
2.592  34.6  100  2 2 0
1.497  62.0  46  4 2 2
5.185  17.1  24  1 1 0
1.833  49.7  23  4 0 0
1.159  83.4  17  6 0 2
1.960  46.3  14  3 2 1
2.319  38.8  13  3 1 0
1.296  73.0  12  4 4 0
~~~

Exercise.
Next, filter the listing further up: keep the lines with the word "Structure".

Reply.
Structure: a GGA+U-relaxed structure